
  1. 维生素B2光化学法灭活血浆中病原体的实验研究及其对血浆凝血因子活性影响的探讨

    The Study on Pathogen Inactivation of Plasma Using Riboflavin as a Photosensitizer and Influence on the Activation of Clotting Facters

  2. O3/H2O2法灭活水中剑水蚤类浮游动物

    O_3 / H_2O_2 Oxidation Processes of Cyclops of Zooplankton Inactivation in Water

  3. 目的研究亚甲蓝(MB)/光化学法灭活RNA包膜病毒的动力力参数条件。

    OBJECTIVE To study the dynamic parameters of RNA envelope virus inactivation by methylene blue ( MB ) / photochemistry method .

  4. 目的:探讨亚甲蓝/光化学法灭活人血浆中SARS冠状病毒(SARSCOV)的效果。

    Objective : To investigate the inactivation effect of methylene blue / light method on SARS-coronavirus ( SARS-CoV ) in human plasma .

  5. 生石灰撒粉加土埋法灭螺的现场应用

    Field application of calcareousness and earth burying method for snail control

  6. 亚甲蓝光化学法灭活血制品中巨细胞病毒的研究

    HCMV inactivation of blood products by methylene blue photochemical treatment

  7. 核黄素光化学法灭活红细胞病毒的实验研究

    Study of Riboflavin Photochemical Inactivate Viru in Red Blood Cells

  8. 光化学法灭活红细胞制品中的病毒及相关机理的研究

    Virus Inactivation in Red Blood Cells by Photochemical Method and Related Mechanisms

  9. 目的观察美兰光化学法灭活红细胞制品中病毒对红细胞膜的影响。

    Objective To observe the influence of virus inactivation by methylene blue illumination on erythrocyte membrane .

  10. 亚甲基蓝/光化学法灭活血浆中指示病毒及对血浆成分影响的初步研究

    Photodynamic inactivation of model virus in human plasma by methylene blue and its influence on plasma proteins

  11. 采用S/D法灭活病毒的新型凝血酶原复合物中试研制的初探

    A Preliminary Evaluation on Medium-Scale Production of a New Prothrombin Complex Concentrate after Inactivation of Virus by Solvent-Detergent

  12. 亚甲蓝光化学法灭活血浆病毒对血浆凝血功能的影响

    The effection of methylene blue photochemical method ( MB-P ) used in inactivating plasma viral on plasma coagulation function

  13. 核黄素光化学法灭活单采血小板悬液中病原体的实验研究及其对血小板活性影响的探讨

    Study on Pathogen Inactivation of Apheresis Platelet Concentrates Using Riboflavin and Light and Influence on the Platelet Functional Activity

  14. 亚甲蓝光化学法灭活病毒的研究&抗坏血酸对血浆凝血因子的保护作用

    Study on inactivating by methylene blue photochemical methods ── The protective effect of ascorbic acid on coagulation factors of plasma

**Between two parts of the entry: crystal structures:**
+++
[1]
Density functional theory data (GGA+U) for crystalline La3Mn3O10 at its relaxed geometry.

Computed properties:
Volume = 12.29 Å³/atom
Polymorph energy (0 for the lowest one) = 0.00 eV per formula unit
Calculated total energy = -7.8475 eV/atom
Space-group type = P1 (1)

```
La3Mn3O10
1.0
-5.457 0.021 -0.007
-2.652 -4.767 -0.025
-0.216 3.175 22.636
O La Mn
30 9 9
Direct
0.297 0.985 0.263
0.900 0.622 0.138
0.098 0.381 0.863
0.188 0.065 0.751
0.423 0.153 0.165
0.398 0.751 0.450
0.048 0.913 0.354
0.965 0.057 0.638
0.817 0.355 0.955
0.142 0.196 0.546
0.183 0.645 0.046
0.576 0.846 0.835
0.785 0.848 0.945
0.635 0.741 0.561
0.005 0.458 0.343
0.812 0.944 0.247
0.384 0.668 0.154
0.524 0.403 0.338
0.660 0.207 0.063
0.772 0.456 0.235
0.583 0.251 0.556
0.477 0.594 0.662
0.225 0.548 0.764
0.368 0.265 0.442
0.705 0.019 0.737
0.340 0.793 0.937
0.877 0.790 0.458
0.617 0.335 0.846
0.995 0.544 0.653
0.213 0.154 0.056
0.445 0.100 0.645
0.953 0.097 0.143
0.652 0.699 0.044
0.346 0.302 0.958
0.748 0.499 0.748
0.247 0.509 0.253
0.157 0.692 0.540
0.044 0.906 0.860
0.547 0.904 0.359
0.097 0.802 0.700
0.694 0.604 0.899
0.902 0.199 0.302
0.398 0.203 0.800
0.195 0.604 0.402
0.804 0.393 0.596
0.600 0.801 0.201
0.306 0.396 0.101
0.499 0.002 0.497
```



[2]
Density functional theory data (GGA+U) for crystalline La4Mn4O11 at its relaxed geometry.

Computed properties:
Volume = 13.75 Å³/atom
Calculated total energy = -8.0469 eV/atom
Space-group type = Pc (7)

```
La4Mn4O11
1.0
7.992 0.000 0.000
0.000 7.964 0.000
0.000 7.743 8.211
La O Mn
8 22 8
Direct
0.484 0.934 0.533
0.486 0.463 0.015
0.010 0.552 0.469
0.008 0.045 0.489
0.990 0.552 0.969
0.516 0.934 0.033
0.992 0.045 0.989
0.514 0.463 0.515
0.790 0.808 0.192
0.690 0.735 0.494
0.697 0.195 0.798
0.798 0.800 0.709
0.297 0.667 0.521
0.004 0.974 0.314
0.996 0.974 0.814
0.199 0.302 0.983
0.208 0.301 0.506
0.310 0.735 0.994
0.518 0.512 0.284
0.792 0.301 0.006
0.496 0.036 0.192
0.303 0.195 0.298
0.801 0.302 0.483
0.210 0.808 0.692
0.988 0.453 0.222
0.504 0.036 0.692
0.012 0.453 0.722
0.703 0.667 0.021
0.202 0.800 0.209
0.482 0.512 0.784
0.751 0.000 0.250
0.249 0.000 0.750
0.758 0.501 0.250
0.751 0.002 0.750
0.251 0.501 0.250
0.242 0.501 0.750
0.249 0.002 0.250
0.749 0.501 0.750
```



[3]
Density functional theory data (GGA+U) for crystalline LaMnO3 at its relaxed geometry.

Computed properties:
Volume = 12.50 Å³/atom
Calculated total energy = -8.0397 eV/atom
Space-group type = C2/c (15)

```
LaMnO3
1.0
4.782 0.022 2.796
1.626 4.624 2.777
-0.022 -0.041 5.633
O Mn La
6 2 2
Direct
0.759 0.333 0.728
0.250 0.819 0.681
0.741 0.772 0.167
0.259 0.228 0.833
0.750 0.181 0.319
0.241 0.667 0.272
0.500 0.500 0.500
0.000 0.000 0.000
0.750 0.757 0.743
0.250 0.243 0.257
```



[4]
Density functional theory data (GGA+U) for crystalline LaMnO3 at its relaxed geometry.

Computed properties:
Volume = 12.37 Å³/atom
Calculated total energy = -8.0106 eV/atom
Space-group type = Cmmm (65)

```
LaMnO3
1.0
1.096 -3.812 0.479
-3.967 -0.658 3.845
+++
**So much for the crystal structures:**

  15. S/D法灭活病毒后凝血酶原复合物的生物活性及S/D残留量的分析

    Analysis of the Biological Activity of and the Residual SD in the Prothrombin Complex Concentrate after Inactivation of Virus by SD

  16. 核黄素光化学法灭活乙肝病毒的初步探讨用含氯或者氯化物的消毒水消毒。

    Experimental Study on the Photochemical Inactivation of Hepatitis B Virus Using with Riboflavin disinfection of water by the addition of small amounts of chlorine or a chlorine compound .

  17. 亚甲蓝/光化学法体外灭活RNA包膜病毒的实验研究

    Inactivation of RNA Envelope Virus by Methylene Blue / Photochemistry Methods in vitro

  18. 荧光定量PCR技术评价亚甲蓝光化学法病毒灭活效果的研究

    Using Real-Time PCR to Evaluate the Effect of Viral Inactivation by Methylene Blue with Visible Light

  19. 以PSA分散固相萃取净化,液相色谱柱分离,直接荧光法测定灭定威,研究建立了测定蔬菜、水果中灭定威的分析方法。

    Pirimicarb in vegetables and fruits was determined with PSA dispersive solid-phase extraction cleanup and HPLC fluorescence detection .

  20. 氯硝柳胺乙醇胺盐喷粉法现场灭螺效果与费用研究

    Cost-effective analysis of eliminating oncomelania with 4 % niclosamide ethanolamine salt

  21. 用蒽酮比色法测定灭螺活性部位对钉螺糖原的影响;

    The glycogen content of soft tissues of Oncomelania hupensis treated by the ethyl acetate polar fraction was determined by the anthrone method .

  22. 采用经典的甲醛作为灭活剂灭活乙脑病毒,按照1:2000的浓度加入甲醛,在4℃作用28天,通过细胞培养-动物法进行灭活验证。

    Use formaldehyde as the classical inactivating agent inactivated JE virus , the concentration of formaldehyde is 1:2000 at 4 ℃ for 28 days . The testing of inactivation validation is cell culture-animal .

  23. 应用微量中和抑制法测定脊髓灰质炎灭活病毒的抗原性

    Antigenicity Determination of Inactivated Poliovirus & Micro-Neutralization Inhibition Test

  24. 亚甲蓝光化学法血浆病毒灭活前后血浆总蛋白的变化分析

    Research on total protein variation in plasma before and after plasma virus inactivation by methylene blue photochemical method

  25. [目的]探讨稀释除药法检测消毒剂灭活流感病毒的效果。

    [ Objective ] To explore the efficacy of disinfectant in disinfecting of influenza virus by dilution - elimination method .

  26. 用细菌内毒素检查法检测巴氏灭活前后内毒素的变化

    The Changes of the Bacterial Endotoxins before and after the Pasteurization , Using the Method of Checking the Bacterial Endotoxins

  27. 综合灭酶效果、能耗等因素,将常压蒸汽加微波法作为优选灭酶干燥方法。

    Considering enzyme inactive effect , energy consumption and time of treatment synthetically , steam combines microwave was selected as the optimized method .

  28. 通过振荡平衡法测定了灭草松在6种土壤中的吸附等温线,计算了灭草松在吸附过程中平均偏摩尔自由能的变化值。

    Adsorption isotherms of bentazon in six selected soils were measured by using batch sorption method . Meanwhile the mean partial free energy change of chemical in sorption process was also calculated .

  29. 薄层-紫外分光光度法分析辛-灭乳油中灭多威含量

    Analysis of Methomyl Content in Xin-Mie EC by TLC-UV Method

  30. 亚甲蓝/化学法可有效地灭活血浆中的病毒。

    Virus inactivation of plasma can be achieved by methylene blue / photochemical method .